[Brief]
Repeat all of the material underneath unchanged.

[Listing]
- - -
Material: Hg3AsO4
Method: DFT, meta-GGA r2SCAN
State: optimized geometry

ΔH_f (0 K) in meV per atom: -806
Final energy in eV per atom: -24.144
Crystal system: monoclinic

```
32
Lattice="8.949 0.000 0.000 0.000 5.123 0.000 -7.779 0.000 12.249" Properties=species:S:1:pos:R:3 pbc="T T T"
Hg -0.301 0.740 1.010
Hg -4.191 1.822 7.135
Hg -1.131 0.773 5.650
Hg -5.020 1.789 11.774
Hg 3.031 3.380 1.532
Hg -0.859 4.305 7.657
Hg 2.029 0.818 4.592
Hg -1.860 1.744 10.717
Hg 6.191 3.335 0.475
Hg 2.301 4.350 6.599
Hg 5.361 3.302 5.115
Hg 1.472 4.383 11.239
As -0.070 3.244 3.358
As -3.959 4.441 9.482
As 5.130 0.682 2.767
As 1.240 1.880 8.892
O -0.772 2.694 1.903
O -4.661 4.991 8.028
O -0.993 2.758 4.704
O -4.882 4.928 10.829
O -3.887 2.745 9.445
O 0.002 4.940 3.320
O 1.536 2.633 3.447
O -2.353 5.052 9.571
O 3.523 0.071 2.678
O -0.366 2.490 8.803
O 1.168 0.184 8.929
O 5.058 2.378 2.804
O 6.052 0.196 1.420
O 2.163 2.366 7.545
O 5.831 0.133 4.221
O 1.942 2.429 10.346
```

Material: Hg3AsO4
Method: DFT, meta-GGA r2SCAN
State: optimized geometry

ΔH_f (0 K) in meV per atom: -803
Final energy in eV per atom: -24.140
Crystal system: monoclinic

```
64
Lattice="10.241 0.000 0.000 0.000 8.724 0.000 -2.576 0.000 13.364" Properties=species:S:1:pos:R:3 pbc="T T T"
Hg -0.944 1.984 5.365
Hg -2.231 2.378 12.047
Hg -1.499 0.504 8.555
Hg -0.211 3.858 1.873
Hg 1.932 0.778 2.207
Hg 0.644 3.584 8.889
Hg 1.094 5.362 10.693
Hg 2.382 7.724 4.011
Hg 2.045 0.583 11.149
Hg 3.333 3.779 4.467
Hg 3.176 6.499 7.216
Hg 4.463 6.587 0.534
Hg 3.202 2.137 12.830
Hg 4.490 2.225 6.148
Hg 4.333 4.945 8.897
Hg 5.621 8.142 2.215
Hg 5.284 1.000 9.353
Hg 6.571 3.362 2.671
Hg 7.021 5.140 4.475
Hg 5.734 7.946 11.157
Hg 7.877 4.866 11.491
Hg 9.165 8.220 4.809
Hg 9.897 6.346 1.317
Hg 8.609 6.740 7.999
As 0.324 5.194 5.395
As -0.964 7.892 12.077
As 1.925 0.719 7.916
As 3.212 3.643 1.234
As 4.453 5.081 12.130
As 5.741 8.006 5.448
As 8.630 0.832 1.287
As 7.342 3.530 7.969
O -0.783 6.099 4.449
O -2.071 6.987 11.131
O -0.071 5.202 7.042
O 1.217 7.884 0.360
O -0.894 0.712 11.375
O 0.394 3.650 4.693
O 0.636 1.814 7.581
O 1.924 2.548 0.899
O 1.907 5.842 5.200
O 0.619 7.245 11.882
O 2.775 4.637 2.557
O 1.487 8.449 9.239
O 0.870 4.667 13.264
O 2.158 8.419 6.582
O 3.268 1.691 8.292
O 4.556 2.671 1.610
O 3.109 6.053 11.754
O 4.397 7.033 5.072
O 5.508 0.305 6.782
O 6.796 4.057 0.100
O 6.178 0.275 4.125
O 4.891 4.087 10.807
O 7.047 1.480 1.482
O 5.759 2.883 8.164
O 5.742 6.176 12.465
O 7.029 6.910 5.783
O 7.272 5.074 8.671
O 8.560 8.012 1.989
O 6.448 0.840 13.004
O 7.736 3.522 6.322
O 9.737 1.737 2.233
O 8.449 2.625 8.915
```

Material: HgAsPd5
Method: DFT, meta-GGA r2SCAN
State: optimized geometry

ΔH_f (0 K) in meV per atom: -318
Final energy in eV per atom: -25.872
Crystal system: tetragonal

```
7
Lattice="4.022 0.000 0.000 0.000 4.022 0.000 0.000 0.000 7.091" Properties=species:S:1:pos:R:3 pbc="T T T"
Hg 0.000 0.000 0.000
As 2.011 2.011 3.545
Pd 0.000 2.011 2.073
Pd 0.000 2.011 5.018
Pd 2.011 0.000 2.073
Pd 2.011 0.000 5.018
Pd 2.011 2.011 0.000
```

Material: HoNiAs
Method: DFT, meta-GGA r2SCAN
State: optimized geometry

ΔH_f (0 K) in meV per atom: -1169
Final energy in eV per atom: -21.026
Crystal system: hexagonal

```
12
Lattice="4.024 0.000 0.000 -2.012 3.484 0.000 0.000 0.000 15.212" Properties=species:S:1:pos:R:3 pbc="T T T"
Ho 0.000 0.000 0.000
Ho 0.000 0.000 3.803
Ho 0.000 0.000 7.606
Ho 0.000 0.000 11.409
Ni 0.000 2.323 2.043
Ni 0.000 2.323 5.563
Ni 2.012 1.161 9.649
Ni 2.012 1.161 13.168
As 0.000 2.323 9.439
As 0.000 2.323 13.379
As 2.012 1.161 1.833
As 2.012 1.161 5.773
```

Please write out number 3 again, unchanged.
Material: HgAsPd5
Method: DFT, meta-GGA r2SCAN
State: optimized geometry

ΔH_f (0 K) in meV per atom: -318
Final energy in eV per atom: -25.872
Crystal system: tetragonal

```
7
Lattice="4.022 0.000 0.000 0.000 4.022 0.000 0.000 0.000 7.091" Properties=species:S:1:pos:R:3 pbc="T T T"
Hg 0.000 0.000 0.000
As 2.011 2.011 3.545
Pd 0.000 2.011 2.073
Pd 0.000 2.011 5.018
- - -

[Worked solution]
Material: Hg3AsO4
Method: DFT, meta-GGA r2SCAN
State: optimized geometry

ΔH_f (0 K) in meV per atom: -806
Final energy in eV per atom: -24.144
Crystal system: monoclinic

```
32
Lattice="8.949 0.000 0.000 0.000 5.123 0.000 -7.779 0.000 12.249" Properties=species:S:1:pos:R:3 pbc="T T T"
Hg -0.301 0.740 1.010
Hg -4.191 1.822 7.135
Hg -1.131 0.773 5.650
Hg -5.020 1.789 11.774
Hg 3.031 3.380 1.532
Hg -0.859 4.305 7.657
Hg 2.029 0.818 4.592
Hg -1.860 1.744 10.717
Hg 6.191 3.335 0.475
Hg 2.301 4.350 6.599
Hg 5.361 3.302 5.115
Hg 1.472 4.383 11.239
As -0.070 3.244 3.358
As -3.959 4.441 9.482
As 5.130 0.682 2.767
As 1.240 1.880 8.892
O -0.772 2.694 1.903
O -4.661 4.991 8.028
O -0.993 2.758 4.704
O -4.882 4.928 10.829
O -3.887 2.745 9.445
O 0.002 4.940 3.320
O 1.536 2.633 3.447
O -2.353 5.052 9.571
O 3.523 0.071 2.678
O -0.366 2.490 8.803
O 1.168 0.184 8.929
O 5.058 2.378 2.804
O 6.052 0.196 1.420
O 2.163 2.366 7.545
O 5.831 0.133 4.221
O 1.942 2.429 10.346
```

Material: Hg3AsO4
Method: DFT, meta-GGA r2SCAN
State: optimized geometry

ΔH_f (0 K) in meV per atom: -803
Final energy in eV per atom: -24.140
Crystal system: monoclinic

```
64
Lattice="10.241 0.000 0.000 0.000 8.724 0.000 -2.576 0.000 13.364" Properties=species:S:1:pos:R:3 pbc="T T T"
Hg -0.944 1.984 5.365
Hg -2.231 2.378 12.047
Hg -1.499 0.504 8.555
Hg -0.211 3.858 1.873
Hg 1.932 0.778 2.207
Hg 0.644 3.584 8.889
Hg 1.094 5.362 10.693
Hg 2.382 7.724 4.011
Hg 2.045 0.583 11.149
Hg 3.333 3.779 4.467
Hg 3.176 6.499 7.216
Hg 4.463 6.587 0.534
Hg 3.202 2.137 12.830
Hg 4.490 2.225 6.148
Hg 4.333 4.945 8.897
Hg 5.621 8.142 2.215
Hg 5.284 1.000 9.353
Hg 6.571 3.362 2.671
Hg 7.021 5.140 4.475
Hg 5.734 7.946 11.157
Hg 7.877 4.866 11.491
Hg 9.165 8.220 4.809
Hg 9.897 6.346 1.317
Hg 8.609 6.740 7.999
As 0.324 5.194 5.395
As -0.964 7.892 12.077
As 1.925 0.719 7.916
As 3.212 3.643 1.234
As 4.453 5.081 12.130
As 5.741 8.006 5.448
As 8.630 0.832 1.287
As 7.342 3.530 7.969
O -0.783 6.099 4.449
O -2.071 6.987 11.131
O -0.071 5.202 7.042
O 1.217 7.884 0.360
O -0.894 0.712 11.375
O 0.394 3.650 4.693
O 0.636 1.814 7.581
O 1.924 2.548 0.899
O 1.907 5.842 5.200
O 0.619 7.245 11.882
O 2.775 4.637 2.557
O 1.487 8.449 9.239
O 0.870 4.667 13.264
O 2.158 8.419 6.582
O 3.268 1.691 8.292
O 4.556 2.671 1.610
O 3.109 6.053 11.754
O 4.397 7.033 5.072
O 5.508 0.305 6.782
O 6.796 4.057 0.100
O 6.178 0.275 4.125
O 4.891 4.087 10.807
O 7.047 1.480 1.482
O 5.759 2.883 8.164
O 5.742 6.176 12.465
O 7.029 6.910 5.783
O 7.272 5.074 8.671
O 8.560 8.012 1.989
O 6.448 0.840 13.004
O 7.736 3.522 6.322
O 9.737 1.737 2.233
O 8.449 2.625 8.915
```

Material: HgAsPd5
Method: DFT, meta-GGA r2SCAN
State: optimized geometry

ΔH_f (0 K) in meV per atom: -318
Final energy in eV per atom: -25.872
Crystal system: tetragonal

```
7
Lattice="4.022 0.000 0.000 0.000 4.022 0.000 0.000 0.000 7.091" Properties=species:S:1:pos:R:3 pbc="T T T"
Hg 0.000 0.000 0.000
As 2.011 2.011 3.545
Pd 0.000 2.011 2.073
Pd 0.000 2.011 5.018
Pd 2.011 0.000 2.073
Pd 2.011 0.000 5.018
Pd 2.011 2.011 0.000
```

Material: HoNiAs
Method: DFT, meta-GGA r2SCAN
State: optimized geometry

ΔH_f (0 K) in meV per atom: -1169
Final energy in eV per atom: -21.026
Crystal system: hexagonal

```
12
Lattice="4.024 0.000 0.000 -2.012 3.484 0.000 0.000 0.000 15.212" Properties=species:S:1:pos:R:3 pbc="T T T"
Ho 0.000 0.000 0.000
Ho 0.000 0.000 3.803
Ho 0.000 0.000 7.606
Ho 0.000 0.000 11.409
Ni 0.000 2.323 2.043
Ni 0.000 2.323 5.563
Ni 2.012 1.161 9.649
Ni 2.012 1.161 13.168
As 0.000 2.323 9.439
As 0.000 2.323 13.379
As 2.012 1.161 1.833
As 2.012 1.161 5.773
```

Please write out number 3 again, unchanged.
Material: HgAsPd5
Method: DFT, meta-GGA r2SCAN
State: optimized geometry

ΔH_f (0 K) in meV per atom: -318
Final energy in eV per atom: -25.872
Crystal system: tetragonal

```
7
Lattice="4.022 0.000 0.000 0.000 4.022 0.000 0.000 0.000 7.091" Properties=species:S:1:pos:R:3 pbc="T T T"
Hg 0.000 0.000 0.000
As 2.011 2.011 3.545
Pd 0.000 2.011 2.073
Pd 0.000 2.011 5.018